What is needed: quote the material further down from the line with "0.817 0.022" to the end character by character.

********
Record 1
## TiAlNi (GGA-PBE)

Data for TiAlNi after structural relaxation.

magnetic moment: 0.61 μB/f.u.
formation enthalpy at 0 K: -489 meV per atom

Unit cell a=7.956 b=5.026 c=8.445 alpha=90.00 beta=90.00 gamma=90.00
Space group Amm2 (No. 38)
Unique sites:
Ti1 0.173 0.000 0.000 (multiplicity 4)
Ti2 0.294 0.000 0.669 (multiplicity 4)
Al1 0.239 0.000 0.327 (multiplicity 4)
Al2 0.500 0.244 0.929 (multiplicity 4)
Ni1 0.000 0.000 0.506 (multiplicity 2)
Ni2 0.000 0.240 0.750 (multiplicity 4)
Ni3 0.500 0.000 0.173 (multiplicity 2)

---

Record 2
## Na6Ca4Ta4Si5S7O48 (GGA-PBE)

Data for Na6Ca4Ta4Si5S7O48 after structural relaxation.

magnetic moment: 0.00 μB/f.u.
formation enthalpy at 0 K: -2645 meV per atom

Unit cell a=9.122 b=15.812 c=23.176 alpha=89.79 beta=89.99 gamma=89.95
Space group P1 (No. 1)
Unique sites:
Na1 0.000 0.000 0.000 (multiplicity 1)
Na2 0.000 0.313 0.670 (multiplicity 1)
Na3 0.014 0.328 0.171 (multiplicity 1)
Na4 0.017 0.643 0.342 (multiplicity 1)
Na5 0.119 0.816 0.421 (multiplicity 1)
Na6 0.146 0.485 0.752 (multiplicity 1)
Na7 0.364 0.986 0.256 (multiplicity 1)
Na8 0.388 0.316 0.921 (multiplicity 1)
Na9 0.491 0.147 0.841 (multiplicity 1)
Na10 0.491 0.827 0.666 (multiplicity 1)
Na11 0.498 0.488 0.493 (multiplicity 1)
Na12 0.506 0.812 0.175 (multiplicity 1)
Na13 0.523 0.149 0.345 (multiplicity 1)
Na14 0.532 0.491 0.002 (multiplicity 1)
Na15 0.617 0.316 0.422 (multiplicity 1)
Na16 0.883 0.815 0.922 (multiplicity 1)
Na17 0.971 0.636 0.836 (multiplicity 1)
Na18 0.976 0.993 0.500 (multiplicity 1)
Ca1 0.004 0.644 0.187 (multiplicity 1)
Ca2 0.004 0.653 0.683 (multiplicity 1)
Ca3 0.005 0.992 0.864 (multiplicity 1)
Ca4 0.011 0.647 0.485 (multiplicity 1)
Ca5 0.498 0.150 0.985 (multiplicity 1)
Ca6 0.499 0.488 0.365 (multiplicity 1)
Ca7 0.505 0.144 0.686 (multiplicity 1)
Ca8 0.506 0.154 0.184 (multiplicity 1)
Ca9 0.512 0.144 0.486 (multiplicity 1)
Ca10 0.515 0.487 0.860 (multiplicity 1)
Ca11 0.992 0.638 0.988 (multiplicity 1)
Ca12 0.994 0.988 0.361 (multiplicity 1)
Ta1 0.005 0.981 0.650 (multiplicity 1)
Ta2 0.006 0.313 0.028 (multiplicity 1)
Ta3 0.007 0.312 0.813 (multiplicity 1)
Ta4 0.007 0.318 0.518 (multiplicity 1)
Ta5 0.008 0.318 0.323 (multiplicity 1)
Ta6 0.502 0.812 0.314 (multiplicity 1)
Ta7 0.502 0.813 0.527 (multiplicity 1)
Ta8 0.505 0.478 0.152 (multiplicity 1)
Ta9 0.511 0.477 0.660 (multiplicity 1)
Ta10 0.513 0.817 0.022 (multiplicity 1)
Ta11 0.514 0.818 0.819 (multiplicity 1)
Ta12 0.999 0.979 0.162 (multiplicity 1)
Si1 0.148 0.174 0.922 (multiplicity 1)
Si2 0.149 0.830 0.263 (multiplicity 1)
Si3 0.155 0.800 0.586 (multiplicity 1)
Si4 0.298 0.311 0.421 (multiplicity 1)
Si5 0.355 0.300 0.085 (multiplicity 1)
Si6 0.360 0.674 0.422 (multiplicity 1)
Si7 0.362 0.330 0.762 (multiplicity 1)
Si8 0.648 0.964 0.921 (multiplicity 1)
Si9 0.650 0.669 0.922 (multiplicity 1)
Si10 0.651 0.997 0.589 (multiplicity 1)
Si11 0.701 0.984 0.259 (multiplicity 1)
Si12 0.806 0.485 0.759 (multiplicity 1)
Si13 0.853 0.497 0.089 (multiplicity 1)
Si14 0.862 0.170 0.422 (multiplicity 1)
Si15 0.862 0.465 0.421 (multiplicity 1)
S1 0.139 0.455 0.920 (multiplicity 1)
S2 0.142 0.133 0.253 (multiplicity 1)
S3 0.164 0.491 0.592 (multiplicity 1)
S4 0.193 0.152 0.590 (multiplicity 1)
S5 0.211 0.476 0.256 (multiplicity 1)
S6 0.227 0.813 0.921 (multiplicity 1)
S7 0.296 0.976 0.757 (multiplicity 1)
S8 0.315 0.651 0.089 (multiplicity 1)
S9 0.344 0.991 0.089 (multiplicity 1)
S10 0.365 0.632 0.754 (multiplicity 1)
S11 0.370 0.954 0.420 (multiplicity 1)
S12 0.644 0.629 0.255 (multiplicity 1)
S13 0.659 0.340 0.256 (multiplicity 1)
S14 0.661 0.306 0.589 (multiplicity 1)
S15 0.691 0.645 0.589 (multiplicity 1)
S16 0.727 0.315 0.921 (multiplicity 1)
S17 0.782 0.815 0.421 (multiplicity 1)
S18 0.817 0.145 0.088 (multiplicity 1)
S19 0.852 0.807 0.087 (multiplicity 1)
S20 0.853 0.840 0.757 (multiplicity 1)
S21 0.864 0.130 0.755 (multiplicity 1)
O1 0.068 0.216 0.254 (multiplicity 1)
O2 0.072 0.084 0.927 (multiplicity 1)
O3 0.075 0.084 0.201 (multiplicity 1)
********

Ta10 0.513 0.817 0.022 (multiplicity 1)
Ta11 0.514 0.818 0.819 (multiplicity 1)
Ta12 0.999 0.979 0.162 (multiplicity 1)
Si1 0.148 0.174 0.922 (multiplicity 1)
Si2 0.149 0.830 0.263 (multiplicity 1)
Si3 0.155 0.800 0.586 (multiplicity 1)
Si4 0.298 0.311 0.421 (multiplicity 1)
Si5 0.355 0.300 0.085 (multiplicity 1)
Si6 0.360 0.674 0.422 (multiplicity 1)
Si7 0.362 0.330 0.762 (multiplicity 1)
Si8 0.648 0.964 0.921 (multiplicity 1)
Si9 0.650 0.669 0.922 (multiplicity 1)
Si10 0.651 0.997 0.589 (multiplicity 1)
Si11 0.701 0.984 0.259 (multiplicity 1)
Si12 0.806 0.485 0.759 (multiplicity 1)
Si13 0.853 0.497 0.089 (multiplicity 1)
Si14 0.862 0.170 0.422 (multiplicity 1)
Si15 0.862 0.465 0.421 (multiplicity 1)
S1 0.139 0.455 0.920 (multiplicity 1)
S2 0.142 0.133 0.253 (multiplicity 1)
S3 0.164 0.491 0.592 (multiplicity 1)
S4 0.193 0.152 0.590 (multiplicity 1)
S5 0.211 0.476 0.256 (multiplicity 1)
S6 0.227 0.813 0.921 (multiplicity 1)
S7 0.296 0.976 0.757 (multiplicity 1)
S8 0.315 0.651 0.089 (multiplicity 1)
S9 0.344 0.991 0.089 (multiplicity 1)
S10 0.365 0.632 0.754 (multiplicity 1)
S11 0.370 0.954 0.420 (multiplicity 1)
S12 0.644 0.629 0.255 (multiplicity 1)
S13 0.659 0.340 0.256 (multiplicity 1)
S14 0.661 0.306 0.589 (multiplicity 1)
S15 0.691 0.645 0.589 (multiplicity 1)
S16 0.727 0.315 0.921 (multiplicity 1)
S17 0.782 0.815 0.421 (multiplicity 1)
S18 0.817 0.145 0.088 (multiplicity 1)
S19 0.852 0.807 0.087 (multiplicity 1)
S20 0.853 0.840 0.757 (multiplicity 1)
S21 0.864 0.130 0.755 (multiplicity 1)
O1 0.068 0.216 0.254 (multiplicity 1)
O2 0.072 0.084 0.927 (multiplicity 1)
O3 0.075 0.084 0.201 (multiplicity 1)